第17届中国R会议 & 2024 X 智能大会 & 2024 数据科学国际论坛联合会议将于2024年7月20-22日在中国人民大学召开,本次会议由
中国人民大学统计学院、统计之都和中国商业统计学会人工智能分会主办,由Journal of Data Science 编辑部和中国人民大学数据科学与大数据统计系承办,得到宽德投资、明汯投资、和鲸科技、子博设计赞助支持。
2024.7.20-21 (9:00-17:30) :
下面为您奉上本次中国R会议 & 2024 X 智能大会 & 2024 数据科学国际论坛联合会议7月21日的
医药行业的软件开发专场、 Advancements in Statistical Testing, Estimation, and Design of Experiments专场介绍!
2024年7月22日 晚上 19:00-21:00
What happens when your validated ecosystem is a Graph?
Xiaoli Duan has been a Data Scientist in Roche PD Data Sciences since she received her Ph.D. degree in Industrial Engineering in 2022, with a research focus on statistical machine learning in healthcare. She is an R developer of the NEST project (chevron family) and a Python developer of automatic tumor segmentation algorithms. She is a product owner of the R interface to Roche’s distributed ecosystem across multiple semantic platforms.
A validated environment to use R to develop clinical trials reporting tools and deliver reproducible data analytic results (i.e. table, listing, and figure outputs) for regulatory submission is a must. The Comprehensive R Archive Network (CRAN) which sets up the highest standard of validating a new/upgraded package assesses the cohort of package reverse dependencies upon submission and evaluates if the package continues to serve as expected as a dependency in the current validated ecosystem. Indeed, the evaluation of the heaviness of package dependencies and the risk of inter-dependency impacting reproducibility is a complex process, given that active package up-versioning and data standards publications make our Auto-validation R Submission Portal a dynamic system/network on a daily basis.
Our goal is to effortlessly touch the comprehensive review of a validated ecosystem’s all available package dependencies via a directed Graph - a non-linear data structure in graph theory - and simplify the validation task workflow in terms of computational complexity. We will
(1) linearly traverse/search and visualize package dependencies within a user-defined scope,
(2) linearly order/schedule pending packages to be validated in the queue and automatically trigger which is the next to be performed in the validation pipelines to minimize any newly broken package behaviors due to package upgrades, and
(3) automatically make package owners/maintainers notified if their package dependencies get upgraded up to certain versions by any other package requests, which will make the package re-submitted for validation again (but thinking about this is a heads-up of potential test failures due to package up-versioning).
Our demos will cover three CRAN-released clinical trial analysis tools: tern (Roche), tidytlg (J&J), and forestly (Merck). Note that our proposed framework can be generalized for any complex dataflow system, regardless of performing tasks, programming languages, package managers, etc. The dynamic QC (for results) process (and data dependencies) can also be supported if we provide an end-to-end R solution to clinical reporting in a centralized platform
Integrating LLM Coding Capabilities in End-to-End Data Science: Challenges and Reflections
7.22 online
Ding Cheng is currently working at AbbVie - Allergan Aesthetics, where he is responsible for commercial and business-related data analysis and modeling. With extensive experience in clinical research development, IT and innovation, and business intelligence, Ding is passionate about integrating advanced digital technologies with medical practices to drive improvements in the healthcare industry.
This presentation will explore the integration of large language model (LLM) coding capabilities within the end-to-end data science workflow. Using a case study of constructing a Chat Dashboard, we will delve into the challenges, insights, and reflections encountered throughout the process. The focus will be on development within the R programming environment, highlighting the application of statistical models to enhance data analysis and decision-making. The presentation will cover technical implementation details and share experiences in project management and interdisciplinary collaboration, providing practical guidance for professionals looking to leverage LLM advantages in the data science field.
Patient Narrative Generation in R
7.22 online
The Patient Narrative, or Adverse Event narrative, is critical in clinical trials for providing detailed safety data. Its distinctive features include patient-generated content and presentation in chronological order. However its creation involves tedious tasks like data retrieval and event timeline linking. The use of R for the automated generation of patient narrative reports significantly saves the resources in data collection and repetitive writing tasks, offering a notable improvement in accuracy compared to manual methods. This presentation will primarily focus on how to generate Narratives using R, along with the usage of the current popular R packages. Moreove# it will explore the potential for further automating Narrative generation in
双剑合璧: R和Python协同构建数据应用
7.22 online
王杰,是强生创新制药中国研发临床统计编程部门技术解决方案的数据工程师。他是一位技术娴熟的统计程序员,专注于发现机会,推动优化和创新,应用传统和前沿的方法进行临床相关的数据分析。他拥有12年生物制药数据分析经验, 在加入强生之前, 曾在辉瑞研发工作过5年多从事临床数据分析相关工作。刘晓畅目前任职于Johnson & Johnson的临床与统计编程部门,担任的是Data Engineer的工作。他擅长使用R,Python以及其他编程语言和工具,在处理大规模临床数据、数据挖掘、机器学习,数据可视化和生成式人工智能应用方面具有丰富的经验和技能。他的工作目标是利用数据驱动的解决方案来支持临床研究和决策。他于2018年获得山东大学药学学士学位,2019年获得英国爱丁堡大学药物发现与转化生物学硕士学位。
R与Python是构建数据科学应用的过程中必不可少的重要工具,诚然,它们有着各独特的优势:R 以其强大的统计分析能力和数据可视化功能闻名,而Python则以其易读性和广泛的库的支持在数据处理和机器学习领域中占据一席之地。对于一个完整的数据科学项目,R与Python并非互斥的关系。我们可以通过结合它们各自的优势,在开发过程中实现协同效应。从需求出发,灵活选择工具,这样我们将极大地提高开发数据应用的速度,以及赋予应用一定程度的鲁棒性。我们将详细介绍这种协同工作的实践过程,以及如何最大限度地利用R和Python的优势,为数据科学家提供一个全新的构建数据应用的视角。
对于大部分的数据清洗,可视化以及前端交互的需求,我们选择使用R作为我们的工具。其中,我们选择了R Shiny作为前端交互的框架并使用了R golem作为开发R Shiny应用的框架。对于一些特定的功能,我们利用Python的优势,通过FastAPI搭建接口为前端应用提供功能的实现。此外,我们也借助了微软提供的Graph API,以此来丰富应用的功能。
Advancements in Statistical Testing, Estimation, and Design of Experiments专场
2024年7月22日 晚上 19:00-21:00
Simultaneous jump detection for multiple sequences via screening and multiple testing
These data records were left in the text by mistake:
........
{"formula": "C56H66As2N4O2Se3Si4SnTe", "method": "ωB97M-V/def2-TZVPD", "elements": ["Sn", "Se", "Se", "Te", "Se", "N", "C", "C", "C", "C", "N", "C", "C", "H", "H", "H", "H", "C", "Si", "C", "C", "As", "Si", "C", "C", "C", "Si", "C", "C", "C", "H", "H", "H", "H", "H", "H", "H", "H", "H", "H", "H", "H", "H", "H", "H", "H", "H", "H", "H", "H", "H", "H", "H", "H", "H", "H", "H", "C", "C", "C", "C", "C", "C", "As", "C", "C", "C", "C", "C", "C", "C", "C", "C", "C", "C", "C", "H", "H", "H", "H", "H", "H", "H", "H", "H", "H", "H", "H", "H", "H", "H", "C", "C", "C", "C", "C", "C", "Si", "C", "C", "C", "C", "C", "C", "C", "C", "C", "C", "C", "C", "H", "H", "H", "H", "H", "H", "H", "H", "H", "H", "H", "H", "H", "H", "H", "C", "N", "C", "C", "C", "O", "N", "C", "O", "H", "H", "H", "H", "H"], "xyz": [[-0.087829, 0.701470, 1.197069], [-0.770070, -0.456843, 4.169227], [-2.427663, 1.050900, 4.936682], [-3.201624, -0.893794, 3.498065], [-3.365485, -0.148796, 1.236847], [7.270967, 1.080221, -0.282952], [6.293488, 0.512855, -0.072638], [5.063194, -0.178870, 0.207754], [4.755774, -0.550988, 1.511860], [3.530086, -1.155485, 1.740536], [2.646602, -1.400110, 0.779063], [2.967874, -1.067734, -0.465506], [4.158522, -0.448492, -0.810893], [5.441770, -0.356836, 2.324348], [3.236708, -1.430812, 2.748966], [2.219733, -1.275542, -1.222803], [4.360711, -0.163397, -1.834054], [-3.654117, -4.312426, 2.076639], [-1.908498, -4.892933, 2.485552], [-1.935287, -6.774764, 2.485048], [-1.440627, -4.396298, 4.237600], [-0.479527, -3.747043, 1.001746], [1.467560, -5.033465, 1.213224], [2.664084, -4.679790, -0.194601], [2.224795, -4.498565, 2.861308], [1.246873, -6.901855, 1.230512], [-1.442477, -4.485939, -1.020886], [-0.102803, -4.491223, -2.328800], [-2.213474, -6.200628, -1.007770], [-2.777005, -3.237861, -1.464369], [-4.307169, -4.458806, 2.943169], [-4.067613, -4.898603, 1.251038], [-3.703573, -3.266582, 1.768109], [-2.920369, -7.090958, 2.843992], [-1.187464, -7.176013, 3.172659], [-1.773193, -7.230687, 1.508604], [-2.239072, -4.676641, 4.932256], [-1.243438, -3.332044, 4.358907], [-0.535107, -4.928858, 4.541927], [2.575233, -3.677141, -0.608040], [2.520476, -5.395141, -1.007103], [3.685179, -4.801786, 0.180659], [3.242807, -4.127708, 2.715854], [2.273424, -5.342467, 3.554788], [1.650174, -3.704547, 3.342227], [0.612375, -7.256731, 0.415366], [0.827441, -7.270999, 2.168220], [2.236829, -7.352273, 1.101302], [0.542079, -5.367675, -2.233852], [0.524482, -3.600575, -2.260263], [-0.552426, -4.503376, -3.326388], [-1.477530, -6.981461, -0.802773], [-2.632923, -6.386873, -2.001914], [-3.023971, -6.302302, -0.283421], [-2.363484, -2.454455, -2.103424], [-3.206940, -2.756543, -0.584368], [-3.583844, -3.726948, -2.018200], [-0.475444, -3.416619, -6.427755], [0.741606, -3.215465, -5.789124], [0.832833, -2.308102, -4.745417], [-0.281162, -1.576059, -4.338089], [-1.495276, -1.781474, -4.982888], [-1.591498, -2.702100, -6.020157], [-0.105721, -0.399860, -2.791837], [1.292471, 0.809218, -3.416787], [1.745930, 0.893420, -4.729570], [2.741889, 1.801988, -5.067343], [3.288693, 2.633432, -4.099705], [2.840568, 2.554224, -2.788094], [1.851907, 1.640456, -2.450263], [-1.677874, 0.701809, -3.073102], [-1.822227, 1.605351, -4.118511], [-3.016581, 2.290133, -4.275589], [-4.066993, 2.083371, -3.390059], [-3.929885, 1.179820, -2.347320], [-2.735774, 0.487605, -2.196904], [-0.552725, -4.128643, -7.239901], [1.618223, -3.771979, -6.097082], [1.787540, -2.171313, -4.247983], [-2.375170, -1.226137, -4.680090], [-2.544245, -2.853005, -6.512945], [1.321096, 0.254225, -5.493692], [3.088231, 1.861231, -6.091739], [4.064602, 3.339993, -4.366832], [3.263391, 3.193888, -2.021937], [1.538320, 1.580940, -1.414026], [-1.001203, 1.786019, -4.803598], [-3.123941, 3.006738, -5.080626], [-4.989822, 2.637183, -3.510413], [-4.744792, 1.017427, -1.651359], [-2.620329, -0.230793, -1.395299], [2.134363, 6.966732, 0.921566], [2.566160, 5.732780, 0.465839], [1.725450, 4.626981, 0.531526], [0.437485, 4.713195, 1.058718], [0.012810, 5.982918, 1.479859], [0.844054, 7.089917, 1.422875], [-0.892024, 3.345431, 0.965690], [-1.751384, 3.958572, -0.617600], [-3.013310, 4.553998, -0.643960], [-3.457356, 5.262317, -1.755041], [-2.646373, 5.392403, -2.870478], [-1.396949, 4.786871, -2.877606], [-0.965519, 4.077410, -1.769432], [-2.060147, 3.665514, 2.429355], [-3.409256, 3.297093, 2.374811], [-4.270074, 3.502069, 3.444611], [-3.796163, 4.071091, 4.619582], [-2.454284, 4.415222, 4.712881], [-1.604442, 4.211562, 3.634077], [2.785616, 7.830758, 0.871820], [3.561120, 5.626751, 0.047587], [2.078183, 3.685395, 0.131800], [-0.998575, 6.117366, 1.847799], [0.479441, 8.053846, 1.757533], [-3.656336, 4.512586, 0.225830], [-4.435507, 5.728601, -1.735811], [-2.983642, 5.959315, -3.729874], [-0.752428, 4.871299, -3.745014], [0.028539, 3.639166, -1.793641], [-3.807397, 2.846443, 1.474297], [-5.312860, 3.219555, 3.357595], [-4.464615, 4.241496, 5.454792], [-2.069080, 4.852448, 5.626336], [-0.562279, 4.497707, 3.732680], [3.001259, 2.975939, 5.942703], [2.793133, 2.605645, 4.546741], [3.717308, 2.936693, 3.600780], [3.574933, 2.587523, 2.311618], [2.370182, 1.884501, 1.961154], [2.081443, 1.577803, 0.774595], [1.480153, 1.539749, 2.910304], [1.672233, 1.837782, 4.225914], [0.929258, 1.463840, 5.136445], [3.553743, 3.912635, 5.977097], [3.554942, 2.202239, 6.475485], [2.035865, 3.100554, 6.420067], [4.565540, 3.505302, 3.959340], [4.295502, 2.861353, 1.556643]], "atomic_forces_ev_per_a": [[0.3, 0.3, 0.0], [-0.4, 0.1, 0.0], [0.1, -0.2, -0.1], [0.2, 0.0, -0.1], [-0.1, 0.0, 0.2], [-0.1, 0.0, 0.0], [0.1, 0.1, 0.0], [0.0, 0.0, 0.0], [-0.1, 0.0, 0.0], [0.0, 0.1, 0.0], [0.0, -0.2, 0.1], [0.0, 0.1, 0.0], [0.0, 0.0, 0.0], [0.0, 0.0, 0.0], [0.0, 0.0, 0.0], [0.0, 0.0, 0.0], [0.0, 0.0, 0.0], [0.0, -0.1, 0.0], [0.0, 0.1, -0.1], [0.0, 0.0, 0.0], [0.0, -0.1, 0.0], [-0.2, -0.1, 0.0], [0.1, 0.0, 0.0], [0.0, -0.1, 0.0], [0.0, 0.0, 0.0], [0.0, 0.0, 0.0], [0.0, 0.0, 0.0], [0.0, 0.0, 0.0], [0.0, 0.0, 0.0], [0.0, -0.1, 0.
........
So much for the data records:
7月22日 19:00-21:00
Chunming Zhang is a Professor in the Department of Statistics at the University of Wisconsin-Madison. She earned her Ph.D. in Statistics from the University of North Carolina at Chapel Hill under the guidance of Jianqing Fan. She completed her B.S. in mathematical statistics at Nankai University, Tianjin, China, and an M.S. in Computational Mathematics from Academia Sinica, Beijing, China. Her research interests range from statistical learning and data mining, statistical methods with applications to imaging data, neuroinformatics, and bioinformatics, multiple testing, large-scale simultaneous inference and applications, statistical methods in financial econometrics, non- and semi-parametric estimation and inference, to functional and longitudinal data analysis. Her current research topics include new developments in the area of large-scale structure learning tasks and statistical inference procedures, with applications in neuroscience, biology, machine learning, and causal inference. She is an elected Fellow (2016) of the American Statistical Association (ASA) and an elected Fellow (2011) of the Institute of Mathematical Statistics (IMS) and is honored by a Medallion Award and Lecturer (2024) of the IMS.
The estimation of nonparametric discontinuous regression function is fundamental in many applied fields, but challenges arise when the number of jumps (or discontinuities) is large and unknown. We propose a new jump detection method, via the consecutive screening and multiple testing (SaMT) algorithm for estimating the unknown jump points in the flexible non-parametric regression model, guaranteeing the desired accuracy. The initial jump candidates are obtained in the consecutive screening procedure combined with locally-linear smoothing method. To further assess the significance of an individual jump candidate, we develop a novel test based on the profile likelihood inference. The ultimate selection of relevant jump points is conducted in multiple testing procedure, which rules out irrelevant jump points with large variations, due to heteroscedastic errors, from jump candidates. Moreove# we generalize the proposed SaMT algorithm to detect the common jump points shared across multiple aligned sequences. The proposed method is easy to implement, enjoys flexibility in choices of bandwidth parameter and threshold quantity in screening, and is illustrated through simulations and real data examples, as compared with existing methods.
Common Odds Ratio Test and Interval Estimation for Stratified Bilateral and Unilateral Data
Changxing Ma, PhD is Associate Professor, Co-Director for Master of Public Health (MPH) Biostatistics in the Department of Biostatistics at the University at Buffalo. He graduated from Nankai University in 1997. Before joining in Biostatics University at Buffalo, he worked at Nankai Dept of Statistics from 1992 to 2002, worked with longitudinal and birth cohort’s data in University of Florida for 5 years from 2000 to 2005. He published more than 130 peer-reviewed publications in a wide range of statistical and biomedical journals. His Google scholar h-index is 46, i10-index 95.
In clinical research, data are commonly collected bilaterally from paired organs or bodily parts within individual subjects. However, unilateral data arise when constraints or limiting factors impede the collection of complete bilateral data. In this paper, we propose three large-sample tests and five confidence interval methods for making inferences on the common treatment effect, measured by the odds ratio, in a stratified design under integrated bilateral and unilateral data. Our simulation results show that the likelihood ratio-based and score-based tests, along with their associated confidence interval methods, demonstrate robust control of type I error and close-to-nominal coverage probabilities. We apply the proposed methods to real-world datasets of acute otitis media and myopic eyes to showcase their validity and applicability in clinical practice.
Assessing heterogeneous causal effects across clusters in partially nested designs
7月22日 19:00-21:00
Xiao Liu is an assistant professor in the quantitative methods program of the Department of Educational Psychology at UT Austin. She is interested in causal inference methods, quasi-experimental methods (e.g., propensity score), causal mediation analysis, and longitudinal data analysis.
Partially nested designs are common in studies of psychological or behavioral interventions. In this type of design, after participants are assigned to study arms, participants in a treatment arm are subsequently assigned to clusters (e.g., teachers, therapy groups) to receive treatment, whereas participants in a control arm are unclustered (e.g., a wait-list control). As participants in the treatment arm receive treatment in clusters, it is often of interest to examine heterogeneity of treatment effects across the clusters; but this is challenging in the partially nested design. Particularly, in defining a causal effect of treatment for a specific cluster (e.g., a specific therapist), it is unclear how the treatment and control outcomes should be compared, as the control arm has no clustering (e.g., no therapists). It may be tempting to compare outcomes of a specific cluster to outcomes of the entire control arm—howeve# this comparison may not represent a causal effect even when the treatment assignment is randomized, because the cluster assignment in the treatment arm may be nonrandomized (elaborated in this talk). In this talk, I will describe our study that extends the principal stratification framework and the principal score approach to assessing heterogeneous cluster-specific treatment effects in the partially nested design. Besides the effect definition and identification, our study obtains various estimators for the cluster-specific treatment effects, including a multiply-robust estimator that can provide more robustness to parametric model misspecification. In addition to simulation results, I will present an empirical example applying our methods to estimating the heterogeneous treatment effects across clusters in a partially nested design. I will end this talk with a discussion of the implications of our study and potential future directions.